BIOL 130 Dichotomous key - 2 -

Dichotomous Keys

Adapted from B. Hoffman, Park University, Missouri

The identification of biological organisms can be greatly simplified using a tool called a dichotomous key. A dichotomous key is an organized set of couplets of mutually exclusive characteristics of biological organisms. You simply compare the characteristics of an unknown organism against an appropriate dichotomous key. These keys begin with general characteristics of the specimen and lead progressively more specific characteristics. If the organism falls into one category, you go to the next indicated couplet. By following the key and making the correct choices, you should be able to identify your specimen to the indicated taxonomic level.

Sample key to common beans

1a. Bean round …………………….………………...Green Pea

1b. Bean elliptical or oblong………. ……………….Go to 2

2a. Bean white…………………………………….. Go to 3

2b. Bean has dark pigments…. ……………………Go to 4

3a. Bean small ……………………………………. Small Navy

3b. Bean large ……………………………………..Great Northern Navy

**These materials data were left in the text by mistake:**
-- begin --
# 1
AlGeMo3 at its PBEsol-relaxed geometry, computed with SCAN.

The structure in extended XYZ format:
```
5
Lattice="-0.952 -3.294 -2.885 -1.502 -2.528 3.382 -4.113 1.685 -0.567" Properties=species:S:1:pos:R:3 pbc="T T T"
Ge -3.283 -2.069 -0.035
Al 0.000 0.000 0.000
Mo -0.751 -1.264 1.691
Mo -0.476 -1.647 -1.442
Mo -2.057 0.842 -0.284
```

Final energy = -123.74 eV per cell
Spin magnetization = 0.03 μB/cell
SG = Pm-3m (221)

---

# 2
AlGe3Mo2 at its PBEsol-relaxed geometry, computed with SCAN.

The structure in extended XYZ format:
```
18
Lattice="4.796 -0.001 -0.003 -2.398 4.154 0.000 0.069 0.040 13.345" Properties=species:S:1:pos:R:3 pbc="T T T"
Ge 1.183 0.699 3.362
Ge 3.640 0.700 1.080
Ge 1.246 0.736 10.039
Ge 2.439 2.761 5.563
Ge 2.437 2.800 12.193
Ge 3.683 0.682 7.784
Ge 1.220 3.485 3.347
Ge -1.222 3.478 1.092
Ge -1.150 3.497 7.790
Al 1.260 3.515 10.017
Al 0.020 1.373 5.568
Al 0.056 1.417 12.210
Mo 1.247 2.095 7.781
Mo 2.454 0.040 12.276
Mo 0.030 4.158 5.556
Mo 1.199 2.092 1.155
Mo -1.145 2.115 9.963
Mo 3.608 2.092 3.293
```

Final energy = -408.94 eV per cell
Spin magnetization = 0.00 μB/cell
SG = P1 (1)

---

# 3
AlGe2N at its PBEsol-relaxed geometry, computed with SCAN.

The structure in extended XYZ format:
```
4
Lattice="-2.391 2.678 2.484 -4.357 -0.277 -0.058 -2.134 -1.567 3.471" Properties=species:S:1:pos:R:3 pbc="T T T"
Ge -2.220 0.208 1.474
Ge -6.661 0.625 4.423
N 0.000 0.000 0.000
Al -4.441 0.417 2.949
```

Formation energy without anion corrections = 1.177 eV per atom
Final energy = -50.51 eV per cell
Spin magnetization = 0.00 μB/cell
SG = Fm-3m (225)

---

# 4
AlGeTe2N at its PBEsol-relaxed geometry, computed with SCAN.

The structure in extended XYZ format:
```
5
Lattice="-2.402 -2.333 0.777 3.208 -1.907 4.189 -2.411 3.652 3.510" Properties=species:S:1:pos:R:3 pbc="T T T"
Te -1.206 1.826 1.755
Te 1.604 -0.954 2.094
Ge -0.803 -0.294 4.238
N -1.201 -1.166 0.389
Al 0.000 0.000 0.000
```

Formation energy without anion corrections = 0.280 eV per atom
Final energy = -109.23 eV per cell
Spin magnetization = 0.00 μB/cell
SG = P4/mmm (123)


# RbTc2I (PBE, optimized geometry)
data_RbTc2I
_chemical_formula_sum 'Rb4 Tc8 I4'
_cell_length_a 6.846
_cell_length_b 6.846
_cell_length_c 6.846
_cell_angle_alpha 90.00
_cell_angle_beta 90.00
_cell_angle_gamma 90.00
_symmetry_space_group_name_H-M 'F m -3 m'
_symmetry_Int_Tables_number 225
_symmetry_space_group_name_Hall '-F 4 2 3'
loop_
_atom_site_label
_atom_site_type_symbol
_atom_site_fract_x
_atom_site_fract_y
_atom_site_fract_z
Rb1 Rb 0.000 0.000 0.000
Tc1 Tc 0.250 0.250 0.250
I1 I 0.000 0.000 0.500
# * raw formation energy: 178.1 kJ/mol of atoms
# * N(E_F): 24.25 states/eV/cell
# * E above lowest polymorph: 0.728 eV per atom
-- stop --

4a. Bean evenly pigmented……………………..…Go to 5

Next to the piece, the page also holds data records >
+++
[1]
Below is crystalline AcPmIn at its relaxed geometry, with properties calculated at the PBE level.

a = 8.1611 Å, b = 8.1611 Å, c = 8.1611 Å
α = 143.23°, β = 137.82°, γ = 57.18°
Fractional coordinates of all 6 atoms:
1 Ac 0.3483 0.0983 0.2500
2 Ac 0.6517 0.9017 0.7500
3 Pm 0.0469 0.7969 0.2500
4 Pm 0.9531 0.2031 0.7500
5 In 0.1817 0.4317 0.7500
6 In 0.8183 0.5683 0.2500

## Properties
Distance to the lowest polymorph of the same formula = 424 meV per atom
VASP energy = -22.48 eV for the cell shown
Space group = No. 74
V = 36.11 A^3/atom
Energy relative to the elements = 0.1187 eV/atom


[2]
Below is crystalline AcPm12In6 at its relaxed geometry, with properties calculated at the PBE level.

a = 8.9347 Å, b = 8.9347 Å, c = 8.9347 Å
α = 102.52°, β = 102.52°, γ = 102.52°
Fractional coordinates of all 19 atoms:
1 Ac 0.0000 0.0000 0.0000
2 Pm 0.1106 0.5000 0.8894
3 Pm 0.1106 0.8894 0.5000
4 Pm 0.1735 0.4394 0.4394
5 Pm 0.4394 0.1735 0.4394
6 Pm 0.4394 0.4394 0.1735
7 Pm 0.5000 0.1106 0.8894
8 Pm 0.5000 0.8894 0.1106
9 Pm 0.5606 0.5606 0.8265
10 Pm 0.5606 0.8265 0.5606
11 Pm 0.8265 0.5606 0.5606
12 Pm 0.8894 0.1106 0.5000
13 Pm 0.8894 0.5000 0.1106
14 In 0.2516 0.2516 0.7187
15 In 0.2516 0.7187 0.2516
16 In 0.2813 0.7484 0.7484
17 In 0.7187 0.2516 0.2516
18 In 0.7484 0.2813 0.7484
19 In 0.7484 0.7484 0.2813

## Properties
VASP energy = -79.38 eV for the cell shown
Space group = No. 166
V = 34.38 A^3/atom
Energy relative to the elements = -0.0967 eV/atom


[3]
Below is crystalline Ac12PmIn6 at its relaxed geometry, with properties calculated at the PBE level.

a = 8.9372 Å, b = 8.9372 Å, c = 8.9372 Å
α = 87.93°, β = 87.93°, γ = 87.93°
Fractional coordinates of all 19 atoms:
1 Ac 0.0305 0.3094 0.9338
2 Ac 0.0662 0.9695 0.6906
3 Ac 0.1222 0.3446 0.4691
4 Ac 0.3094 0.9338 0.0305
5 Ac 0.3446 0.4691 0.1222
6 Ac 0.4691 0.1222 0.3446
7 Ac 0.5309 0.8778 0.6554
8 Ac 0.6554 0.5309 0.8778
9 Ac 0.6906 0.0662 0.9695
10 Ac 0.8778 0.6554 0.5309
11 Ac 0.9338 0.0305 0.3094
12 Ac 0.9695 0.6906 0.0662
13 Pm 0.5000 0.5000 0.5000
14 In 0.2337 0.7558 0.3875
15 In 0.2442 0.6125 0.7663
16 In 0.3875 0.2337 0.7558
17 In 0.6125 0.7663 0.2442
18 In 0.7558 0.3875 0.2337
19 In 0.7663 0.2442 0.6125

## Properties
VASP energy = -73.64 eV for the cell shown
Space group = No. 148
V = 37.50 A^3/atom
Energy relative to the elements = -0.1660 eV/atom


[4]
Below is crystalline AcPmIn2 at its relaxed geometry, with properties calculated at the PBE level.

a = 5.6372 Å, b = 5.6372 Å, c = 5.6372 Å
α = 60.00°, β = 60.00°, γ = 60.00°
Fractional coordinates of all 4 atoms:
1 Ac 0.0000 0.0000 0.0000
2 Pm 0.5000 0.5000 0.5000
3 In 0.2500 0.2500 0.2500
4 In 0.7500 0.7500 0.7500

## Properties
Distance to the lowest polymorph of the same formula = 23 meV per atom
VASP energy = -16.07 eV for the cell shown
Space group = No. 225
V = 31.67 A^3/atom
Energy relative to the elements = -0.4328 eV/atom


[5]
+++

4b. Bean pigmentation mottled or spotted ……… Go to 6

5a. Bean black……………………………………. Black bean

5b. Bean reddish-brown………………………….. Kidney bean

6a. Bean white with a black spot………………….Blackeyed pea

6b. Bean mottled with brown …………………….Pinto bean

Rules of thumb:

A. Read both choices in a couplet carefully. Although the first description may seem to fit your sample, the second may apply even better.

Calculated crystals, as found in the file >
- - -
# 1
A geometry-optimized Tl3H4Se4 structure. Source: the Alexandria database, functional PBE. Values from VASP.

Computed properties:
Total magnetic moment (Bohr magnetons per cell): 0.00
E (eV/atom): -3.257
Excess energy over the best structure of this formula in the dataset (eV/f.u.): 0.00

The structure in Quantum ESPRESSO input format:
```
&SYSTEM
  ibrav = 0, nat = 11, ntyp = 3
/
ATOMIC_SPECIES
H 1.01 H.upf
Tl 204.38 Tl.upf
Se 78.96 Se.upf
CELL_PARAMETERS angstrom
-0.772 3.500 -2.948
-4.119 -0.298 1.434
3.503 16.062 3.181
ATOMIC_POSITIONS angstrom
H -1.975 11.489 0.129
H 0.586 7.775 1.538
H -1.042 15.591 1.632
H -0.347 3.673 0.036
Tl 2.731 19.562 0.233
Tl 0.920 11.030 2.029
Tl -2.309 8.234 -0.362
Se 0.243 16.319 1.424
Se -1.632 2.944 0.243
Se 0.194 6.789 0.494
Se -1.583 12.475 1.174
```

=====

# 2
A geometry-optimized Tl2H2Se3 structure. Source: the Alexandria database, functional PBE. Values from VASP.

Computed properties:
Total magnetic moment (Bohr magnetons per cell): 0.00
E (eV/atom): -3.230

The structure in Quantum ESPRESSO input format:
```
&SYSTEM
  ibrav = 0, nat = 7, ntyp = 3
/
ATOMIC_SPECIES
H 1.01 H.upf
Tl 204.38 Tl.upf
Se 78.96 Se.upf
CELL_PARAMETERS angstrom
4.932 -0.017 0.014
-2.469 5.206 0.352
0.014 -0.528 8.033
ATOMIC_POSITIONS angstrom
H 0.015 2.654 7.707
H 2.462 2.008 0.693
Tl -0.010 1.224 2.721
Tl 2.486 3.438 5.678
Se 0.000 0.000 0.000
Se 2.464 2.950 1.851
Se 0.012 1.711 6.548
```

----------

First-principles (PBE-GGA) data for crystalline Al2ZnHg at its relaxed geometry, as listed in Alexandria.

The space group is Cmmm (No. 65) and the conventional cell measures 2.743, 5.471 and 10.297 Å, with angles of 90.00, 90.00 and 90.00 degrees. Symmetry generates all atoms from Al at (0.000, 0.000, 0.231), Zn at (0.000, 0.500, 0.000) and Hg at (0.000, 0.500, 0.500).

The density of states at the Fermi level comes out at 3.40 states/eV/cell. As for the density: 6.88 g/cm³. Its total energy is -2.072 eV per atom. The energy of formation comes out at 0.19 eV per atom.
- - -

B. Keep notes telling what sequence of identification steps you took. This will allow you to double-check your work later and indicate sources of mistakes, if they have been made.

C. If you are unsure of which choice to make in a couplet, follow both forks (one at a time). After working through a couple of more couplets, it may become apparent that one fork does not fit your sample at all.

D. Work with more than one sample if at all possible. This will allow you to tell whether the one you are looking at is typical or atypical. This is especially true when working with plants – examine more than one leaf, branch, cone, seed, flower,…etc.

E. When you have keyed out an organism, do not take your effort as the final result. Double check your identification scheme, using your notes. Find a type specimen (if available) and compare your unknown to the type specimen. If a type specimen is unavailable, find a good description of the indicated taxonomic group and see if your unknown reflects this description.

F. When reading a couplet, make sure you understand all of the terms used. The best keys will have a glossary of technical terms used in the key. If a glossary is unavailable, find a good reference work for the field (textbook, biological dictionary,…etc.) to help you understand the term.

G. When a measurement is indicated, make sure that you take the measurement using a calibrated scale. Do not “eyeball” it or take a guess.

This week you will use dichotomous keys to identify microscopic algae and protozoa. You will use either a compound or dissecting microscope to see all the necessary details in the species. When you identify each species, make a rough sketch of its morphology, making sure to indicate the identifying characteristics. Your job is to identify at least 10 different species, and you will hand in your sketches at the end of lab.